Wanted >
Echo every line further down that contains the word "pattern".
Input >
This entry pairs a crystal structure of Li2Fe3F8 with its simulated X-ray powder pattern. Radiation: a wavelength of 1.5418 Å. Structure: a crystal structure in the Materials Project, relaxed with GGA+U.
Neutral-atom scattering factors, no anomalous dispersion.

Peak list (6 most intense, 2θ = 10–90°, low angle first)
2θ/deg  d [Å]  I/Imax  (hkl)
19.2  4.619  100  1 1 1
31.4  2.851  32  1 3 1
33.5  2.674  37  1 2 -3
37.9  2.376  34  0 2 4
42.9  2.109  28  0 3 4
56.5  1.629  25  2 5 -2

Structural model:
abc: 6.0529 10.2518 10.7268
angles: 90.00 92.44 90.00
Space group P2_1/c (No. 14)
Unique sites:
Li: 0.1209 0.0529 0.2908 [4 per cell]
Li: 0.3626 0.6429 0.3858 [4 per cell]
Fe: 0.1105 0.1373 0.9629 [4 per cell]
Fe: 0.3537 0.1428 0.7134 [4 per cell]
Fe: 0.3689 0.6285 0.0577 [4 per cell]
F: 0.1015 0.0119 0.1163 [4 per cell]
F: 0.1271 0.2398 0.3059 [4 per cell]
F: 0.1512 0.0070 0.6338 [4 per cell]
F: 0.1519 0.7398 0.4747 [4 per cell]
F: 0.3630 0.0371 0.8796 [4 per cell]
F: 0.3896 0.2478 0.5426 [4 per cell]
F: 0.3899 0.5219 0.8860 [4 per cell]
F: 0.4152 0.7207 0.2241 [4 per cell]

----------

Entry 1:
This entry pairs a crystal structure of Cu7Te2S2O20 with its theoretical powder X-ray diffraction pattern. Radiation: Cu Ka. Structure: a PBE-relaxed structure.
Intensities are scaled so that the largest is 100.

Crystal structure
abc: 7.050 7.625 7.932
angles: 80.46 77.53 86.09
Space group P-1 (No. 2)
One atom of each set of equivalent atoms:
Cu 0.000 0.000 0.000 (multiplicity 1)
Cu 0.000 0.500 0.500 (multiplicity 1)
Cu 0.248 0.463 0.736 (multiplicity 2)
Cu 0.379 0.815 0.804 (multiplicity 2)
Cu 0.500 0.500 0.000 (multiplicity 1)
Te 0.127 0.192 0.244 (multiplicity 2)
S 0.408 0.807 0.344 (multiplicity 2)
O 0.002 0.431 0.277 (multiplicity 2)
O 0.132 0.924 0.792 (multiplicity 2)
O 0.168 0.176 0.000 (multiplicity 2)
O 0.199 0.797 0.349 (multiplicity 2)
O 0.203 0.365 0.556 (multiplicity 2)
O 0.281 0.588 0.909 (multiplicity 2)
O 0.382 0.320 0.175 (multiplicity 2)
O 0.455 0.805 0.513 (multiplicity 2)
O 0.477 0.972 0.216 (multiplicity 2)
O 0.497 0.354 0.738 (multiplicity 2)

Largest 8 diffraction maxima, sorted by position, 2θ from 10° to 80°:
- 4.989 Å, 2θ = 17.8°, I 64, hkl 0 1 -1
- 4.092 Å, 2θ = 21.7°, I 24, hkl -1 1 1
- 3.834 Å, 2θ = 23.2°, I 100, hkl 1 1 -1
- 3.645 Å, 2θ = 24.4°, I 23, hkl 0 1 2
- 3.088 Å, 2θ = 28.9°, I 35, hkl 2 -1 0
- 2.505 Å, 2θ = 35.8°, I 23, hkl 0 3 0
- 2.496 Å, 2θ = 36.0°, I 25, hkl 2 -2 0
- 2.460 Å, 2θ = 36.5°, I 21, hkl 2 2 2

Entry 2:
This entry pairs a crystal structure of Ho2V2GaRu5 with its theoretical powder X-ray diffraction pattern. Radiation: Cu Ka. Structure: a PBE-relaxed structure.
Intensities are scaled so that the largest is 100.

Crystal structure
abc: 10.209 10.209 3.193
angles: 90.00 90.00 90.00
Space group P4/mbm (No. 127)
One atom of each set of equivalent atoms:
Ho 0.173 0.327 0.000 (multiplicity 4)
V 0.129 0.629 0.000 (multiplicity 4)
Ga 0.000 0.000 0.000 (multiplicity 2)
Ru 0.000 0.500 0.500 (multiplicity 2)
Ru 0.065 0.798 0.500 (multiplicity 8)

Largest 8 diffraction maxima, sorted by position, 2θ from 10° to 80°:
- 2.616 Å, 2θ = 34.3°, I 40, hkl 2 1 1
- 2.476 Å, 2θ = 36.3°, I 71, hkl 4 1 0
- 2.406 Å, 2θ = 37.4°, I 31, hkl 3 3 0
- 2.391 Å, 2θ = 37.6°, I 21, hkl 2 2 1
- 2.283 Å, 2θ = 39.5°, I 19, hkl 4 2 0
- 2.270 Å, 2θ = 39.7°, I 100, hkl 3 1 1
- 2.118 Å, 2θ = 42.7°, I 28, hkl 3 2 1
- 1.342 Å, 2θ = 70.1°, I 22, hkl 4 1 2

Entry 3:
This entry pairs a crystal structure of TmCu3O4 with its theoretical powder X-ray diffraction pattern. Radiation: Cu Ka. Structure: a PBE-relaxed structure.
Intensities are scaled so that the largest is 100.

Crystal structure
abc: 5.606 5.606 5.606
angles: 90.00 90.00 90.00
Space group Pm-3n (No. 223)
One atom of each set of equivalent atoms:
Tm 0.000 0.000 0.000 (multiplicity 2)
Cu 0.000 0.250 0.500 (multiplicity 6)
O 0.250 0.250 0.250 (multiplicity 8)

Largest 8 diffraction maxima, sorted by position, 2θ from 10° to 80°:
- 3.964 Å, 2θ = 22.4°, I 36, hkl 1 1 0
Solution >
This entry pairs a crystal structure of Li2Fe3F8 with its simulated X-ray powder pattern. Radiation: a wavelength of 1.5418 Å. Structure: a crystal structure in the Materials Project, relaxed with GGA+U.
This entry pairs a crystal structure of Cu7Te2S2O20 with its theoretical powder X-ray diffraction pattern. Radiation: Cu Ka. Structure: a PBE-relaxed structure.
This entry pairs a crystal structure of Ho2V2GaRu5 with its theoretical powder X-ray diffraction pattern. Radiation: Cu Ka. Structure: a PBE-relaxed structure.
This entry pairs a crystal structure of TmCu3O4 with its theoretical powder X-ray diffraction pattern. Radiation: Cu Ka. Structure: a PBE-relaxed structure.